This article was written by Bart Vercammen, Executive Vice-President and General Manager of Airties’ software product line.

== What comes next are records of molecules, not part of the text ==
Entry 1:
A cluster of 11 separate species, C51H110N2O12S2 in total in a non-equilibrium geometry, computed with the ωB97M-V functional and the def2-TZVPD basis.

Each line ends with the Löwdin charge.
Atoms and positions in Å:
C1 -0.808 2.270 -1.112  -0.09
C2 -1.502 1.297 -0.137  -0.22
C3 -2.749 0.564 -0.664  -0.22
C4 -2.820 0.372 -2.180  -0.20
C5 -1.612 -0.328 -2.816  -0.19
C6 -1.118 -1.558 -2.048  -0.19
C7 0.381 -1.862 -2.311  -0.15
C8 0.637 -3.180 -3.071  -0.19
N1 1.655 -4.105 -2.502  -0.17
C9 2.957 -3.425 -2.373  -0.21
C10 4.098 -4.180 -3.062  -0.19
C11 5.216 -3.259 -3.564  -0.20
C12 5.640 -2.144 -2.600  -0.22
C13 7.154 -1.897 -2.579  -0.21
C14 7.653 -1.270 -1.272  -0.22
C15 6.709 -0.246 -0.650  -0.26
C16 6.531 1.031 -1.498  -0.09
C17 1.276 -4.878 -1.436  -1.06
S1 2.307 -5.906 -0.673  0.67
S2 -0.426 -4.825 -0.904  0.92
C18 -0.326 -4.719 0.916  -0.45
C19 -1.373 -3.731 1.425  -0.25
C20 -0.776 -2.499 2.109  -0.13
C21 0.215 -2.837 3.210  -0.13
C22 -0.211 -3.832 4.109  0.03
C23 0.581 -4.272 5.166  -0.17
C24 0.120 -5.363 6.094  -0.01
C25 1.821 -3.661 5.295  -0.05
C26 2.261 -2.682 4.414  -0.02
C27 1.484 -2.228 3.339  -0.09
C28 2.008 -1.170 2.408  -0.16
C29 2.285 0.183 3.108  -0.07
C30 3.645 -2.302 4.818  -0.37
O1 4.386 -1.484 4.365  0.13
N2 4.005 -3.163 5.883  0.18
C31 2.891 -3.920 6.289  -0.39
O2 2.876 -4.635 7.243  0.13
H1 -1.451 2.667 -1.888  0.08
H2 -0.389 3.075 -0.518  0.04
H3 0.056 1.762 -1.530  0.06
H4 -1.830 1.889 0.716  0.10
H5 -0.760 0.594 0.217  0.08
H6 -3.620 1.154 -0.378  0.09
H7 -2.865 -0.374 -0.125  0.09
H8 -3.038 1.329 -2.647  0.10
H9 -3.697 -0.253 -2.372  0.10
H10 -1.920 -0.668 -3.805  0.10
H11 -0.823 0.398 -2.995  0.08
H12 -1.681 -2.421 -2.396  0.08
H13 -1.254 -1.471 -0.979  0.07
H14 0.911 -1.896 -1.359  0.11
H15 0.802 -1.052 -2.901  0.10
H16 -0.268 -3.745 -3.256  0.07
H17 1.030 -2.909 -4.049  0.11
H18 2.879 -2.453 -2.854  0.12
H19 3.227 -3.251 -1.334  0.11
H20 3.687 -4.691 -3.930  0.11
H21 4.519 -4.924 -2.393  0.08
H22 4.969 -2.838 -4.539  0.11
H23 6.096 -3.879 -3.733  0.10
H24 5.333 -2.417 -1.591  0.10
H25 5.157 -1.204 -2.863  0.11
H26 7.645 -2.862 -2.702  0.10
H27 7.431 -1.284 -3.437  0.11
H28 7.787 -2.073 -0.546  0.11
H29 8.611 -0.778 -1.430  0.11
H30 7.171 0.067 0.284  0.10
H31 5.746 -0.669 -0.387  0.09
H32 7.141 1.833 -1.099  0.05
H33 5.484 1.324 -1.444  0.07
H34 6.775 0.855 -2.543  0.06
H35 -0.512 -5.707 1.324  0.07
H36 0.693 -4.465 1.191  0.06
H37 -2.018 -4.228 2.147  0.08
H38 -2.018 -3.408 0.611  0.09
H39 -1.579 -1.884 2.516  0.13
H40 -0.306 -1.904 1.338  0.08
H41 -1.187 -4.272 3.978  0.10
H42 0.472 -5.172 7.100  0.08
H43 -0.965 -5.420 6.072  0.06
H44 0.515 -6.322 5.767  0.10
H45 1.291 -0.949 1.637  0.08
H46 2.924 -1.498 1.919  0.12
H47 1.902 0.996 2.493  0.07
H48 3.345 0.360 3.224  0.06
H49 1.782 0.249 4.067  0.05
H50 4.452 -2.711 6.672  0.16
C32 0.556 7.216 -0.224  -0.09
C33 0.097 5.859 0.277  -0.33
O3 1.139 4.890 0.131  -0.10
H51 0.857 7.150 -1.271  0.07
H52 -0.234 7.957 -0.132  0.05
H53 1.426 7.558 0.344  0.07

Residential Wi-Fi is an essential service – a fact that became clearer during COVID-19 lockdowns around the globe. As cities and nations shifted to remote working and learning, it created a “new normal” and further accelerated reliance on home Wi-Fi. Airties recently published a research paper that examines the impact this new normal has had on Wi-Fi usage during lockdown and beyond, and the important implications for the future of Internet service providers.

The research presented relies heavily on real-world, anonymized usage data from Airties Cloud, which supports 25 million homes from leading Internet service providers around the world. It covers a period in 2020 that includes pre-lockdown (January to mid-February) to the widespread lockdown period (mid-Feb through April) to the recent post-lockdown period (May through June). The paper examines the changes in user behavior and the factors affecting Wi-Fi performance and its impact on homeowners’ quality of experience. It identifies several key findings, including the following:

  • During lockdown, the number of actively used Wi-Fi devices within each home increased from 5.9 to 6.6 on
  • During lockdown, not only were more devices in use, but they were being used simultaneously. An average of up to 5 simultaneously connected devices were being used every day of the week. This is a 30% to 40% increase on the pre-lockdown working day, where an average of only 3 devices per home with a peak of 4 in the evenings on weekdays and during the weekend was
  • Between the working hours of 9am and 5pm, Wi-Fi activity increased, ranging between 70% to 94% higher than pre-lockdown levels.
  • During lockdown, the volume of average Wi-Fi data rose to over 11GB per home, for every day of the week. This compares to pre-lockdown when data consumption was around 6.5GB during the week to over 8GB at the weekends. In other words, average data volumes increased by a massive 62%.
  • Propelled by an increase in video conferencing and online file sharing/storage usage, the volume of upstream traffic more than doubled, with an increase of 116% during the lockdown period.
  • Before lockdown, approximately 19% of homes experienced measurable Wi-Fi coverage issues in their homes, but this rose to almost one third (32%) of homes during the confinement

### Inserted here: quantum chemistry results
- - -
[1]
13
Properties=species:S:1:pos:R:3:forces:R:3:mulliken_charge:R:1 method="wB97M-V/def2-TZVPD" charge=+1 e_homo_ha="-0.50598 / -0.50608" gap_ev="7.1 / 7.1" largest_force_ha_per_bohr=0.07082 energy_ev=-28404.252
C 2.4720 -0.0719 0.5743 -1.591 0.839 -1.072 -0.283
C 1.1254 0.5095 0.2598 -0.597 -0.329 0.918 -0.162
C -3.1409 -0.0030 -0.0619 -1.481 0.325 1.694 -0.795
N 2.6129 -0.0998 -0.9129 2.127 -1.277 -2.666 0.077
O 2.3655 -1.1432 -1.4375 0.128 0.522 0.700 -0.234
S -0.1930 -0.2883 0.8243 -0.088 1.249 -1.281 0.156
S -1.5120 0.3757 -0.6549 0.432 0.032 0.314 0.126
H 3.1576 0.6795 0.8978 0.622 0.280 0.519 0.260
H 2.5073 -1.0640 0.9708 -0.036 -0.366 0.685 0.474
H 1.1561 1.2149 -0.6494 -0.658 -0.573 1.748 0.420
H -3.1493 -0.9588 0.5319 -0.331 0.475 -1.483 0.317
H -3.7486 0.1383 -0.9833 0.287 -1.089 0.480 0.304
H -3.6529 0.7111 0.6411 1.186 -0.088 -0.554 0.340


[2]
11
Properties=species:S:1:pos:R:3:forces:R:3:mulliken_charge:R:1 method="wB97M-V/def2-TZVPD" e_homo_ha=-0.28917 gap_ev=8.7 largest_force_ha_per_bohr=0.05954 energy_ev=-13982.577
C 0.3087 -0.3482 -0.3319 -1.498 -0.634 2.228 -0.310
C -0.7795 -0.9133 1.2097 1.855 0.706 -2.193 -0.245
C 1.6587 0.3087 0.0656 -1.410 -1.974 -1.095 -0.915
N -1.7001 -0.0769 0.7889 -2.358 -0.085 1.950 -0.021
P -1.1357 0.7879 -0.5499 -0.579 0.532 -2.443 -0.116
H 2.1962 -0.6503 0.2304 0.445 1.123 0.970 0.261
H 2.0283 0.5979 -0.9278 0.387 0.999 0.647 0.294
H 1.5536 1.0546 0.8852 0.617 -0.624 -0.801 0.347
H -2.5850 0.1496 1.3636 1.747 -0.660 -1.051 0.265
H -2.0790 0.2321 -1.6740 1.442 0.397 1.476 0.047
H 0.5339 -1.1420 -1.0598 -0.647 0.221 0.313 0.393


[3]
10
Properties=species:S:1:pos:R:3:forces:R:3:mulliken_charge:R:1 method="wB97M-V/def2-TZVPD" e_homo_ha=-0.33325 gap_ev=10.2 largest_force_ha_per_bohr=0.01447 energy_ev=-5251.660
C -1.2154 0.1135 0.6680 0.124 -0.246 0.364 -0.724
C 0.0800 -0.1157 0.4564 -0.178 0.399 0.464 0.244
C 1.4026 0.0988 -0.0818 0.113 -0.006 -0.243 -0.032
O 1.1270 -0.2343 1.3038 0.151 0.441 0.466 -0.411
H -2.0248 -0.0915 -0.0130 0.293 0.544 -0.203 0.265
H -0.9851 -0.0646 -1.5996 0.109 -0.243 -0.589 0.011
H -1.4860 0.4391 1.6604 -0.079 -0.621 0.403 0.233
H -0.5902 -0.6950 -1.5570 -0.206 0.083 -0.561 -0.020
H 1.9883 -0.5951 -0.6801 -0.270 -0.175 0.229 0.266
H 1.7036 1.1448 -0.1571 -0.057 -0.176 -0.330 0.169


[4]
10
Properties=species:S:1:pos:R:3:forces:R:3:mulliken_charge:R:1 method="wB97M-V/def2-TZVPD" e_homo_ha=-0.33305 gap_ev=9.6 largest_force_ha_per_bohr=0.03173 energy_ev=-5251.945
C -1.3415 0.2561 0.0178 0.266 0.091 0.609 -0.784
C 0.4362 -0.6764 -0.2306 -1.125 0.725 0.666 -0.592
C 1.5375 0.2002 0.1227 -0.452 0.179 -0.100 0.154
O 1.5575 1.4108 0.2595 -0.086 -0.424 -0.230 -0.540
H -0.9727 1.1610 0.4832 -0.009 -0.037 0.203 0.270
H -1.9183 -0.4165 0.6465 0.296 0.085 0.117 0.271
H -1.9653 0.5262 -0.8656 0.868 -0.393 0.254 0.314
H 0.4016 -1.6122 0.3270 -0.413 0.157 -0.416 0.298
H -0.4757 -0.3719 -0.8620 0.969 -0.612 -1.161 0.306
H 2.4738 -0.4080 0.2469 -0.313 0.229 0.060 0.304


[5]
10
- - -
### The page goes on

While all these examples of the increased demands on Wi-Fi are interesting, the most significant data relates to the homeowners’ measurable Wi-Fi quality of experience (QoE), and a phenomenon that we call the catalyst effect. The findings show that when under pressure, Wi-Fi performance does not worsen in a linear fashion correlated with the increase in usage, but rather that it deteriorates in an exponential way. On an aggregate level, users’ experience deteriorated by 160%, with peaks reaching 200%, relative to the increase in Wi-Fi usage and activity. This catalyst effect remains prevalent in the post-lock down period as well, as measured through mid-June. This deterioration in quality of experience can, in turn, lead to increased customer care calls and lower NPS scores.

Our priority is to support service providers as they focus on keeping their customers connected and productive during this unprecedented global challenge. The final section of the paper briefly discusses solutions that can help mitigate the catalyst effect and improve residential Wi-Fi QoE, and the entire report can be downloaded here.